After putting the Flower Show into hibernation for two years due to the worldwide Covid-19 Pandemic, the Flower Show Committee need not have had any doubts or worries about last year’s return of the 133rd edition of the event, which turned out to be a great success and proved as popular as ever.

The committee has since been busy planning for the 134th Flower Show and Fete to take place on the 19th August 2023.

____________
Entry 1:
Entry from the OMol25 dataset: a 7-piece molecular cluster, C38H96N6O13 overall (ωB97M-V with the def2-TZVPD basis set).

Each line ends with the Löwdin charge.
Atoms and positions in Å:
H: 20.9256 6.9652 -7.5601  0.110
H: 20.5413 -7.2732 -8.8082  0.079
H: 18.2172 -0.7379 -8.8067  0.116
H: 21.0106 -1.0881 -15.8911  0.099
C: 13.1908 -9.9301 -8.2981  -0.100
H: 28.6872 0.2715 -17.1701  0.113
H: 22.4380 7.2141 -8.4739  0.111
O: 27.7084 -0.1702 -21.1426  -0.197
H: 24.0981 -4.6225 -21.1467  0.080
C: 24.8093 -6.7508 -14.6445  -0.203
H: 13.9554 -8.1009 -6.5982  0.128
C: 27.9385 -0.3462 -19.7686  -0.224
H: 23.5453 -9.0312 -14.8628  0.082
H: 17.4877 1.1733 -17.2468  0.086
O: 19.2812 -7.6305 -7.1045  -0.196
H: 19.9935 -0.6100 -17.9966  0.107
C: 24.5039 -5.6340 -21.1282  -0.100
H: 24.2648 -6.5549 -17.1509  0.110
H: 21.7246 -1.9786 -10.8865  0.104
C: 20.9488 -1.1188 -17.8674  -0.224
N: 26.1426 -5.6120 -16.4848  -0.043
H: 17.3242 -7.9409 -5.3329  0.109
N: 21.5867 -0.7364 -16.6424  -0.051
C: 25.2598 -5.5084 -18.7943  -0.201
O: 16.6162 -0.8428 -7.5860  -0.183
H: 12.6035 -10.7802 -7.9508  0.083
H: 17.3571 -3.8370 -12.2762  0.107
H: 26.3903 0.2443 -15.0957  0.116
H: 17.9584 2.9166 -17.0317  0.085
H: 22.3504 -1.8323 -12.5448  0.112
O: 20.3460 -1.3937 -12.3855  -0.067
H: 15.3157 -6.4275 -12.5950  0.082
H: 25.7585 -7.2215 -17.7314  0.112
C: 16.2776 -3.7018 -12.2097  -0.245
H: 26.1283 -5.2092 -14.4598  0.109
O: 19.5367 1.7533 -17.5962  -0.208
H: 28.1591 -1.4068 -19.6483  0.123
O: 28.3340 0.7370 -14.5078  -0.183
H: 14.9296 -2.3010 -11.4469  0.118
H: 15.9962 -3.8724 -13.2488  0.120
C: 22.5554 4.6267 -7.9588  -0.195
H: 27.3885 0.1169 -12.7744  0.085
H: 13.2408 -9.8923 -9.3863  0.083
H: 16.0919 -9.9667 -5.7589  0.124
H: 19.6392 -1.6557 -11.7910  0.070
H: 25.4977 9.2701 -5.9619  0.087
C: 22.8856 -8.1858 -14.6673  -0.113
C: 21.5645 0.7401 -16.5144  -0.182
O: 23.4116 -6.9169 -15.0647  -0.219
C: 25.1231 3.8422 -6.3959  -0.086
N: 26.6043 -0.2117 -17.5988  -0.093
H: 19.5953 0.5926 -15.8334  0.118
H: 15.3191 -0.6573 -9.7567  0.121
H: 25.8141 -0.2403 -19.5628  0.118
H: 22.4880 2.4541 -7.8208  0.113
H: 24.3281 9.1425 -4.6756  0.085
H: 27.4111 1.5307 -17.0236  0.112
H: 20.5735 -3.0514 -18.9142  0.116
C: 16.3871 -0.7054 -9.9692  -0.210
H: 26.2777 -5.4879 -19.1836  0.116
C: 17.2089 -0.3331 -8.7191  -0.269
C: 22.4266 8.1113 -6.4582  -0.156
H: 26.1816 3.5821 -6.3926  0.087
H: 23.9707 10.1641 -6.1107  0.084
H: 16.6286 0.0304 -10.7363  0.116
O: 19.6345 -3.0779 -17.1836  -0.201
O: 14.4760 -9.7344 -7.6546  -0.191
H: 25.3604 -7.6092 -15.0288  0.124
H: 26.2332 -4.6904 -16.8880  0.085
O: 15.7546 -4.6764 -11.3206  -0.186
C: 25.3826 -5.4930 -15.2024  -0.206
N: 16.5015 -7.9918 -5.9166  -0.059
H: 18.1002 -7.0469 -8.7878  0.106
C: 21.2220 -3.5854 -12.0645  -0.091
H: 24.8653 -6.7044 -13.5570  0.120
O: 24.3264 -6.0631 -19.7608  -0.204
C: 16.9200 -7.9971 -7.3055  -0.216
H: 28.8460 0.2092 -19.5317  0.105
H: 25.6489 -0.1146 -17.2861  0.105
C: 18.1431 1.9841 -17.5650  -0.114
____________

Schedules are now available for this year’s show from Premier Stores Writhlington, Fromeway Inn, Fillerup, Radstock Cooperative Society Store, Thomsons Hardware, Radstock Library and The Faulkland Inn.

The committee feel and understand, especially now during these economic difficulties, how important it is that we promote alternatives to the health and wellbeing of our community with the benefits of gardening, cooking and arts and crafts. So, if you have grown it or made it, we would love to see it. Please take a look at our schedule, there could be class to suit you.

This year there will be a name change to one of the trophies in the children’s section, for the “Exhibit Made from Recycled Material” class. This trophy will now be known as the Green Cup and is kindly sponsored by Hannah and Emily at Fillerup.

Misplaced calculated molecules
Molecular formula: C82H145N8O28P7
Method: DFT, ωB97M-V with the def2-TZVPD basis set

XYZ file:
```
270
Properties=species:S:1:pos:R:3:forces:R:3
N 2.80112 4.94764 1.19122 -0.5 1.6 2.0
C 2.82523 5.62600 2.37250 0.4 -1.0 0.5
C 2.22019 6.88744 2.58664 1.6 -0.8 1.5
C 1.62893 7.48844 1.53282 -1.2 0.7 -1.7
C 1.53370 6.82043 0.28774 0.5 1.2 2.8
C 2.12051 5.60473 0.24203 0.5 -2.3 -2.8
H 3.35462 5.12168 3.23646 -0.6 0.6 -1.1
H 2.37728 7.41898 3.55710 -0.3 -0.7 -0.9
H 1.19791 8.47869 1.62857 0.0 0.0 0.0
H 1.10177 7.31272 -0.53483 -0.6 0.2 -1.0
H 2.09194 5.07191 -0.73817 0.0 0.3 0.8
N -3.72140 -0.26406 0.08121 -1.5 -1.1 0.2
C -3.78020 -1.59216 -0.10857 1.5 1.7 0.0
C -3.04679 -2.23331 -1.07583 -1.0 0.6 0.3
C -2.47385 -1.48217 -2.07693 -0.2 -0.8 1.4
C -2.54487 -0.12858 -1.95674 0.6 -0.5 -1.6
C -3.16671 0.40633 -0.89376 -0.6 2.5 0.9
H -4.37709 -2.12259 0.55336 -0.8 -1.0 1.4
H -3.05882 -3.27490 -0.98007 0.2 -1.5 -0.6
H -2.00795 -2.00750 -2.84480 0.9 -0.4 -1.4
H -2.14386 0.46711 -2.72683 0.4 0.8 -0.8
H -3.32580 1.49387 -0.83829 0.5 -0.3 0.1
N 7.58733 2.30229 -1.00135 0.5 0.2 -0.2
C 6.66260 3.08105 -0.47693 -0.6 1.5 -0.5
C 5.80023 2.71575 0.55814 1.1 0.9 -1.2
C 6.03365 1.52047 1.15025 -1.4 -1.7 1.8
C 7.10790 0.75864 0.75205 0.2 0.5 -1.3
C 7.81401 1.15940 -0.37712 -0.2 -0.4 0.6
H 6.56564 4.09488 -0.94843 -0.1 -1.0 0.4
H 5.04841 3.41199 0.80634 -1.0 0.4 0.5
H 5.31310 1.07826 1.89448 0.9 0.8 -0.6
H 7.36155 -0.16070 1.19670 0.1 -1.0 0.6
H 8.55786 0.50041 -0.79138 0.3 0.0 -0.1
N 4.04926 -6.04066 2.74261 0.5 -0.1 -0.8
C 4.56068 -5.04865 2.04900 0.5 0.8 -0.9
C 4.20852 -3.68219 2.19081 0.3 -0.9 -0.1
C 3.37503 -3.36563 3.21763 -2.5 -0.4 0.9
C 2.82630 -4.44352 3.99509 1.0 2.5 -0.4
C 3.16737 -5.71179 3.66596 -0.7 -0.6 0.9
H 5.26510 -5.33345 1.26392 -0.1 0.1 0.1
H 4.51473 -2.92418 1.48841 0.3 0.0 -0.1
H 2.82967 -2.39365 3.31313 1.1 -0.6 0.1
H 2.22556 -4.18061 4.85254 -0.5 -0.3 -0.1
H 2.65670 -6.52135 4.15099 0.0 -0.5 0.3
N 2.56970 3.34186 -2.37618 -1.6 0.9 0.1
C 3.60491 2.59788 -2.16529 1.2 -1.5 0.0
C 4.54957 2.26111 -3.15241 1.0 -0.2 1.0
C 4.39267 2.73092 -4.43971 0.3 0.7 -1.6
C 3.28146 3.54679 -4.66564 -0.7 -0.3 -1.2
C 2.41757 3.78693 -3.60014 -0.4 1.0 -2.4
H 3.60426 2.15003 -1.17952 0.7 -0.1 0.1
H 5.44646 1.73129 -2.79362 -0.5 0.0 -0.5
H 5.06163 2.57117 -5.34457 -0.6 -0.2 1.7
H 2.94637 3.87333 -5.72086 0.8 -0.4 1.9
H 1.52893 4.33697 -3.91616 0.1 0.1 1.0
N -4.45238 -6.12151 2.92851 1.0 -2.6 0.6
C -5.64250 -5.66308 3.16152 -2.1 1.1 -0.4
C -6.73428 -6.37632 3.73852 0.6 -0.1 0.4
C -6.54573 -7.69507 4.15344 1.3 1.8 -0.9
C -5.26355 -8.18947 3.94773 0.6 -1.4 0.0
C -4.29738 -7.41666 3.34343 2.2 -0.4 -0.8
H -5.77516 -4.66606 2.72050 -0.4 -0.1 0.6
H -7.67812 -5.89022 3.95163 0.1 0.1 -0.4
H -7.31786 -8.27042 4.57309 -0.8 -0.6 0.5
H -4.95224 -9.23215 4.18684 -0.6 0.9 -0.1
H -3.28976 -7.95324 3.11515 -1.7 1.4 0.4
N 2.20616 0.25941 0.65517 1.6 0.4 -0.1
C 1.71887 1.47048 0.87071 -0.5 0.9 -0.1
C 0.37503 1.68804 1.09682 -0.3 -0.4 0.4
C -0.51249 0.61202 1.08896 -0.6 0.2 -0.8

There are classes for all the family, from the under 5’s to the more senior members of our society (OAP’S - and that includes me!). We have also included some new classes to celebrate the Coronation of King Charles the III.

Molecular data that have nothing to do with the article:
1.
Here is a molecular structure, C32H46BaBrN3P2S at a distorted geometry from the OMol25 dataset. Energies are from ωB97M-V with the def2-TZVPD basis set.

```
86
Properties=species:S:1:pos:R:3
N -6.051 -1.864 -7.744
C -6.277 -2.769 -6.797
C -5.628 -2.721 -5.558
C -4.655 -1.721 -5.323
C -4.399 -0.808 -6.378
C -5.134 -0.918 -7.562
C -3.957 -1.646 -4.038
Ba -1.810 -1.333 0.861
P 0.563 3.938 4.412
C -3.128 -0.617 -3.705
C -2.129 -0.510 -2.681
C -1.731 0.796 -2.296
C -0.745 1.004 -1.362
C 0.212 -0.031 -1.106
C -0.208 -1.350 -1.429
C -1.439 -1.607 -2.074
Br 0.411 0.363 1.629
H -4.183 -2.455 -3.338
H -3.233 0.277 -4.315
H -5.897 -3.436 -4.785
H -3.663 -0.011 -6.287
H -6.999 -3.555 -7.012
H -4.958 -0.209 -8.375
H -2.186 1.656 -2.798
H -1.753 -2.644 -2.295
H -0.656 1.995 -0.887
H 0.450 -2.180 -1.171
P 2.003 0.325 -1.155
C -1.016 3.036 4.280
C -2.094 3.786 5.061
H -0.822 2.047 4.708
H -1.259 2.913 3.218
H -2.936 3.122 5.267
H -1.695 4.144 6.015
H -2.462 4.659 4.513
C 0.604 4.767 2.779
C 1.370 6.085 2.835
H -0.443 4.940 2.499
H 1.055 4.053 2.079
H 1.165 6.675 1.937
H 1.077 6.690 3.699
H 2.448 5.919 2.896
C 1.854 2.650 4.244
C 2.537 2.348 5.576
H 2.583 3.080 3.548
H 1.429 1.756 3.765
H 3.352 1.633 5.425
H 2.967 3.263 5.997
H 1.838 1.932 6.310
C 3.598 -0.098 -0.270
C 4.763 -0.500 -1.196
H 3.466 -0.794 0.579
H 3.903 0.846 0.215
H 4.602 -1.443 -1.748
H 4.934 0.296 -1.935
H 5.689 -0.584 -0.608
C 1.979 2.128 -0.876
C 1.815 2.963 -2.137
H 2.915 2.436 -0.389
H 1.174 2.320 -0.150
H 2.555 2.689 -2.900
H 0.809 2.863 -2.562
H 1.989 4.023 -1.897
C 2.395 -0.049 -2.914
C 2.356 -1.553 -3.214
H 3.388 0.363 -3.142
H 1.691 0.503 -3.549
H 1.575 -1.783 -3.949
H 3.312 -1.885 -3.635
H 2.170 -2.171 -2.326
N 2.124 -3.070 0.056
C 1.351 -3.710 1.010
N 0.293 -3.121 1.565
C -0.074 -3.822 2.730
C -0.980 -3.356 3.686
C -1.380 -4.245 4.692
C -0.782 -5.516 4.791
C 0.231 -5.913 3.898
C 0.560 -5.072 2.841
S 1.746 -5.299 1.563
H 3.002 -3.545 -0.148
H 2.221 -2.064 0.244
H -1.270 -2.296 3.645
H -2.154 -3.932 5.386
H -1.105 -6.212 5.577
H 0.764 -6.862 3.984
```

- LUMO energy (eV) = -6.328
- E_tot (hartree) = -5091.13207
- multiplicity = 1
- energy relative to the best compared isomer or geometry (same formula, charge and spin) (kJ/mol) = 0.0
- orbital gap (eV) = 5.1
- charge = +2

=====

2.
Here is a molecular structure, C32H46BrIrN3P2S at a distorted geometry from the OMol25 dataset. Energies are from ωB97M-V with the def2-TZVPD basis set.

```
86
Properties=species:S:1:pos:R:3
N -5.369 -1.780 3.817
C -4.341 -1.022 4.196
C -3.930 0.085 3.442
C -4.604 0.370 2.237
C -5.725 -0.406 1.881
C -6.076 -1.462 2.741
C -4.113 1.414 1.395
Ir 0.410 0.103 -0.388
P 2.484 0.208 -1.282
C -4.378 1.487 0.050
C -3.360 2.007 -0.793
C -3.012 1.323 -1.994
C -1.723 1.477 -2.508
C -0.775 2.180 -1.735
C -1.289 3.243 -0.902
C -2.523 3.045 -0.317
Br 0.847 2.791 -2.680
H -3.342 2.039 1.833
H -5.314 1.115 -0.399
H -3.068 0.680 3.752
H -6.363 -0.176 1.015
H -3.820 -1.271 5.123
H -6.972 -2.051 2.544
H -3.705 0.614 -2.451

The 134th Flower Show and Fete will be opened at 2.30pm by our Show President Mrs Hilary Denning. The Mendip Brass Band will once again keep us entertained and provide the music throughout the afternoon. This year we will be joined by Jojo Sparkles, a free puppet show between 3pm and 4pm for the children…and parents and grandparents too!

The Flower Show Committee is dedicated to the promotion and protection of bees and bee keeping and we are pleased that the Mendip Beekeepers Association are returning to our Fete once again. Mark Hitchins and his team will be on hand to answer any questions and give advice to anyone interested in bees and beekeeping.

It is always great fun trying to spot the queen bee in the exhibition hive.

For anyone wishing to try their hand at archery, or find out more about the South Wansdyke Archery Club, they will be at the St Mary’s School field where they meet weekly to practice. They are supported by Team GB and have some very talented young archers and they support wheelchair archers too. Do meet them and give the sport a go, you might find a new hobby.

The committee is pleased and looking forward to members from the Norton Radstock Classic Vehicle Club attending our Fete for the first time. I am sure we will all enjoy their visit and for many of us their beautiful classic cars will bring back childhood memories.

After last year’s Flower Show, the chairman made comment that entry numbers in the photography section were down and he was saddened, very disappointed and concerned that there were no entries at all in the children’s photography.

He said that children and the younger generation are the future of our village show, so this year we have invited The Norton Radstock Photographic Society to our Flower Show. There will be a display inside the village hall to inspire budding photographers. So, if like me you need some hints and tips on how to take a good photograph, I am sure Jenny Short and some of the society’s members will be on hand to offer you encouragement, help and advice.

Outside we have free sand play for the children courtesy of Dave and Travis Perkins. There is the exhibitors marquee to visit, tea and homemade cakes, many more stalls, such as Lilco Designs, a bouncy castle, football games, tombola and a grand summer draw — there’s lots to do and lots to see.

The committee would love to see those with past connections to the Flower Show from over the years, such as past presidents, chairmen, secretaries and committee members, along with their families and friends, join us on the day for a catch up with old friends and enjoy a cup of tea and a chat.

For more information, a schedule or if you feel you would like to be part of the Flower Show, please don’t hesitate to contact the Chairman Mr Rob Langley on: 01761 431406, Secretary Mrs Helen Gulliford: 01761 420417 or Facebook.

With this very inclement British summer we are hoping for good weather as we look forward to seeing you all on Show Day.